To do
Echo the whole of the rows further down with every line break kept, please.
Listing
........
1.
A relaxed Li9Co7O16 crystal. Source: the Materials Project, functional r2SCAN.

Cell and atoms, written as POSCAR:
```
Li9Co7O16
1.0
11.2093 0.0000 0.0000
0.0000 4.8549 -0.0270
0.0000 1.6408 4.6321
Li O Co
9 16 7
direct
0.8730 0.5000 0.5000
0.1270 0.5000 0.5000
0.5000 0.0000 0.5000
0.0000 0.0000 0.5000
0.5000 0.5000 0.0000
0.3818 0.5000 0.5000
0.2516 0.0000 0.5000
0.7484 0.0000 0.5000
0.6182 0.5000 0.5000
0.1251 0.2611 0.2180
0.5000 0.7797 0.2286
0.1251 0.7389 0.7820
0.2506 0.2414 0.7801
0.5000 0.2203 0.7714
0.7494 0.2414 0.7801
0.6342 0.7523 0.7767
0.6342 0.2477 0.2233
0.8749 0.7389 0.7820
0.3658 0.2477 0.2233
0.2506 0.7586 0.2199
0.0000 0.7606 0.2200
0.7494 0.7586 0.2199
0.8749 0.2611 0.2180
0.0000 0.2394 0.7800
0.3658 0.7523 0.7767
0.3774 0.0000 0.0000
0.0000 0.5000 0.0000
0.2536 0.5000 0.0000
0.6226 0.0000 0.0000
0.8742 0.0000 0.0000
0.7464 0.5000 0.0000
0.1258 0.0000 0.0000
```

Computed properties:
Polymorph energy (0 for the lowest one)   4 meV per atom
Calculated formation energy   -56.68 eV/f.u.
Symmetry   No. 10

=====

2.
A relaxed Ta2Tl4S11 crystal. Source: the Materials Project, functional r2SCAN.

Cell and atoms, written as POSCAR:
```
Ta2Tl4S11
1.0
6.9829 -2.4164 3.0709
-3.4244 -8.3116 -0.6987
6.2186 2.8316 -11.4330
S Tl Ta
22 8 4
direct
0.9546 0.6442 0.7544
0.0454 0.3558 0.2456
0.7275 0.3980 0.8881
0.4126 0.9284 0.7471
0.9951 0.7073 0.4661
0.6334 0.8610 0.6682
0.6049 0.4284 0.6484
0.0049 0.2927 0.5339
0.8954 0.4890 0.1866
0.3951 0.5716 0.3516
0.3666 0.1390 0.3318
0.7279 0.0428 0.9560
0.5874 0.0716 0.2529
0.5223 0.6843 0.1187
0.9556 0.1328 0.7455
0.6107 0.1918 0.6284
0.3893 0.8082 0.3716
0.2725 0.6020 0.1119
0.4777 0.3157 0.8813
0.2721 0.9572 0.0440
0.1046 0.5110 0.8134
0.0444 0.8672 0.2545
0.0583 0.2384 0.9762
0.7579 0.4203 0.4149
0.5013 0.7264 0.8857
0.7840 0.9643 0.4271
0.2160 0.0357 0.5729
0.2421 0.5797 0.5851
0.4987 0.2736 0.1143
0.9417 0.7616 0.0238
0.3356 0.8906 0.1907
0.6644 0.1094 0.8093
0.8754 0.3629 0.6950
0.1246 0.6371 0.3050
```

Computed properties:
Calculated formation energy   -11.32 eV/f.u.
Symmetry   No. 2

=====

3.
A relaxed LaS2 crystal. Source: the Materials Project, functional r2SCAN.

Cell and atoms, written as POSCAR:
```
LaS2
1.0
-0.3845 2.6703 -3.1657
-3.1899 -5.9418 -4.6246
-15.0292 4.0132 5.2105
S La
16 8
direct
0.7615 0.8746 0.4328
0.3592 0.8937 0.2500
0.7385 0.3746 0.4328
0.3391 0.9014 0.7500
0.8391 0.5986 0.2500
0.2615 0.6254 0.5672
0.7615 0.8746 0.0672
0.6408 0.1063 0.7500
0.2385 0.1254 0.5672
0.8592 0.6063 0.7500
0.1408 0.3937 0.2500
0.2615 0.6254 0.9328
0.7385 0.3746 0.0672
0.6609 0.0986 0.2500
0.2385 0.1254 0.9328
0.1609 0.4014 0.7500
0.7822 0.8702 0.8883
0.2178 0.1298 0.1117
0.7822 0.8702 0.6117
0.7178 0.3702 0.8883
0.2178 0.1298 0.3883
0.2822 0.6298 0.3883
0.7178 0.3702 0.6117
0.2822 0.6298 0.1117
```

Computed properties:
Calculated formation energy   -6.43 eV/f.u.
Symmetry   No. 62

=====

4.
A relaxed Tl4GeS4 crystal. Source: the Materials Project, functional r2SCAN.

Cell and atoms, written as POSCAR:
```
Tl4GeS4
1.0
0.4177 -5.2004 6.8220
4.8783 -6.0426 -3.6671
7.0623 0.7351 2.9442
Ge Tl S
2 8 8
direct
0.7980 0.3774 0.4619
0.3774 0.7980 0.9619
0.0075 0.7417 0.4127
0.2069 0.2091 0.9150
0.2091 0.2069 0.4150
0.4098 0.6338 0.4952
0.7417 0.0075 0.9127
0.6338 0.4098 0.9952
0.0270 0.5909 0.9401
0.5909 0.0270 0.4401
0.9524 0.3935 0.6418
0.2792 0.5610 0.1516
0.5610 0.2792 0.6516
0.7557 0.6236 0.2784
0.2066 0.9144 0.7900
0.3935 0.9524 0.1418
0.6236 0.7557 0.7784
0.9144 0.2066 0.2900
```

Computed properties:
Calculated formation energy   -4.49 eV/f.u.
Symmetry   No. 9

=====

| no. | total energy (eV per atom) |
| --- | --- |
| 1 | -8.32 |
| 2 | -24.09 |
| 3 | -17.41 |
| 4 | -29.25 |

~~~~~

(1)
Material: SrFe5P5O22
Method: DFT, PBE+U
State: optimized geometry

Properties
As for the space-group type: No. 2. As for the crystal system: triclinic. The formation energy from the elements comes out at -1.99 eV/atom. As for the size of the total moment: 50.00 μB/cell.
........
Worked solution
1.
A relaxed Li9Co7O16 crystal. Source: the Materials Project, functional r2SCAN.

Cell and atoms, written as POSCAR:
```
Li9Co7O16
1.0
11.2093 0.0000 0.0000
0.0000 4.8549 -0.0270
0.0000 1.6408 4.6321
Li O Co
9 16 7
direct
0.8730 0.5000 0.5000
0.1270 0.5000 0.5000
0.5000 0.0000 0.5000
0.0000 0.0000 0.5000
0.5000 0.5000 0.0000
0.3818 0.5000 0.5000
0.2516 0.0000 0.5000
0.7484 0.0000 0.5000
0.6182 0.5000 0.5000
0.1251 0.2611 0.2180
0.5000 0.7797 0.2286
0.1251 0.7389 0.7820
0.2506 0.2414 0.7801
0.5000 0.2203 0.7714
0.7494 0.2414 0.7801
0.6342 0.7523 0.7767
0.6342 0.2477 0.2233
0.8749 0.7389 0.7820
0.3658 0.2477 0.2233
0.2506 0.7586 0.2199
0.0000 0.7606 0.2200
0.7494 0.7586 0.2199
0.8749 0.2611 0.2180
0.0000 0.2394 0.7800
0.3658 0.7523 0.7767
0.3774 0.0000 0.0000
0.0000 0.5000 0.0000
0.2536 0.5000 0.0000
0.6226 0.0000 0.0000
0.8742 0.0000 0.0000
0.7464 0.5000 0.0000
0.1258 0.0000 0.0000
```

Computed properties:
Polymorph energy (0 for the lowest one)   4 meV per atom
Calculated formation energy   -56.68 eV/f.u.
Symmetry   No. 10

=====

2.
A relaxed Ta2Tl4S11 crystal. Source: the Materials Project, functional r2SCAN.

Cell and atoms, written as POSCAR:
```
Ta2Tl4S11
1.0
6.9829 -2.4164 3.0709
-3.4244 -8.3116 -0.6987
6.2186 2.8316 -11.4330
S Tl Ta
22 8 4
direct
0.9546 0.6442 0.7544
0.0454 0.3558 0.2456
0.7275 0.3980 0.8881
0.4126 0.9284 0.7471
0.9951 0.7073 0.4661
0.6334 0.8610 0.6682
0.6049 0.4284 0.6484
0.0049 0.2927 0.5339
0.8954 0.4890 0.1866
0.3951 0.5716 0.3516
0.3666 0.1390 0.3318
0.7279 0.0428 0.9560
0.5874 0.0716 0.2529
0.5223 0.6843 0.1187
0.9556 0.1328 0.7455
0.6107 0.1918 0.6284
0.3893 0.8082 0.3716
0.2725 0.6020 0.1119
0.4777 0.3157 0.8813
0.2721 0.9572 0.0440
0.1046 0.5110 0.8134
0.0444 0.8672 0.2545
0.0583 0.2384 0.9762
0.7579 0.4203 0.4149
0.5013 0.7264 0.8857
0.7840 0.9643 0.4271
0.2160 0.0357 0.5729
0.2421 0.5797 0.5851
0.4987 0.2736 0.1143
0.9417 0.7616 0.0238
0.3356 0.8906 0.1907
0.6644 0.1094 0.8093
0.8754 0.3629 0.6950
0.1246 0.6371 0.3050
```

Computed properties:
Calculated formation energy   -11.32 eV/f.u.
Symmetry   No. 2

=====

3.
A relaxed LaS2 crystal. Source: the Materials Project, functional r2SCAN.

Cell and atoms, written as POSCAR:
```
LaS2
1.0
-0.3845 2.6703 -3.1657
-3.1899 -5.9418 -4.6246
-15.0292 4.0132 5.2105
S La
16 8
direct
0.7615 0.8746 0.4328
0.3592 0.8937 0.2500
0.7385 0.3746 0.4328
0.3391 0.9014 0.7500
0.8391 0.5986 0.2500
0.2615 0.6254 0.5672
0.7615 0.8746 0.0672
0.6408 0.1063 0.7500
0.2385 0.1254 0.5672
0.8592 0.6063 0.7500
0.1408 0.3937 0.2500
0.2615 0.6254 0.9328
0.7385 0.3746 0.0672
0.6609 0.0986 0.2500
0.2385 0.1254 0.9328
0.1609 0.4014 0.7500
0.7822 0.8702 0.8883
0.2178 0.1298 0.1117
0.7822 0.8702 0.6117
0.7178 0.3702 0.8883
0.2178 0.1298 0.3883
0.2822 0.6298 0.3883
0.7178 0.3702 0.6117
0.2822 0.6298 0.1117
```

Computed properties:
Calculated formation energy   -6.43 eV/f.u.
Symmetry   No. 62

=====

4.
A relaxed Tl4GeS4 crystal. Source: the Materials Project, functional r2SCAN.

Cell and atoms, written as POSCAR:
```
Tl4GeS4
1.0
0.4177 -5.2004 6.8220
4.8783 -6.0426 -3.6671
7.0623 0.7351 2.9442
Ge Tl S
2 8 8
direct
0.7980 0.3774 0.4619
0.3774 0.7980 0.9619
0.0075 0.7417 0.4127
0.2069 0.2091 0.9150
0.2091 0.2069 0.4150
0.4098 0.6338 0.4952
0.7417 0.0075 0.9127
0.6338 0.4098 0.9952
0.0270 0.5909 0.9401
0.5909 0.0270 0.4401
0.9524 0.3935 0.6418
0.2792 0.5610 0.1516
0.5610 0.2792 0.6516
0.7557 0.6236 0.2784
0.2066 0.9144 0.7900
0.3935 0.9524 0.1418
0.6236 0.7557 0.7784
0.9144 0.2066 0.2900
```

Computed properties:
Calculated formation energy   -4.49 eV/f.u.
Symmetry   No. 9

=====

| no. | total energy (eV per atom) |
| --- | --- |
| 1 | -8.32 |
| 2 | -24.09 |
| 3 | -17.41 |
| 4 | -29.25 |

~~~~~

(1)
Material: SrFe5P5O22
Method: DFT, PBE+U
State: optimized geometry

Properties
As for the space-group type: No. 2. As for the crystal system: triclinic. The formation energy from the elements comes out at -1.99 eV/atom. As for the size of the total moment: 50.00 μB/cell.